**To do**
The reader should count the lines underneath that contain the word "type" and give the number alone.

**Listing**
'''
1.
# CdMoW2S, optimized geometry, DFT PBE
data_CdMoW2S
_chemical_formula_sum 'Cd1 Mo1 W2 S1'
_cell_length_a 4.726
_cell_length_b 5.263
_cell_length_c 4.726
_cell_angle_alpha 90.00
_cell_angle_beta 90.00
_cell_angle_gamma 90.00
_symmetry_space_group_name_H-M 'P 1'
_symmetry_Int_Tables_number 1
_symmetry_space_group_name_Hall 'P 1'
loop_
_atom_site_label
_atom_site_type_symbol
_atom_site_fract_x
_atom_site_fract_y
_atom_site_fract_z
Mo1 Mo 0.000 0.000 0.000
S1 S 0.500 0.500 0.500
W1 W 0.000 0.000 0.500
W2 W 0.500 0.000 0.000
Cd1 Cd 0.000 0.500 0.000
# **Energy relative to the elements, uncorrected**: 2031 meV/atom
# **Space-group type**: P4/mmm, No. 123

***

2.
# Tb4ErIn, optimized geometry, DFT PBE
data_Tb4ErIn
_chemical_formula_sum 'Tb4 Er1 In1'
_cell_length_a 3.563
_cell_length_b 3.563
_cell_length_c 14.328
_cell_angle_alpha 90.00
_cell_angle_beta 90.00
_cell_angle_gamma 90.00
_symmetry_space_group_name_H-M 'P 1'
_symmetry_Int_Tables_number 1
_symmetry_space_group_name_Hall 'P 1'
loop_
_atom_site_label
_atom_site_type_symbol
_atom_site_fract_x
_atom_site_fract_y
_atom_site_fract_z
Tb1 Tb 0.500 0.500 0.174
Tb2 Tb 0.000 0.000 0.648
Tb3 Tb 0.000 0.000 0.352
Tb4 Tb 0.500 0.500 0.826
Er1 Er 0.000 0.000 0.000
In1 In 0.500 0.500 0.500
# **E above lowest polymorph**: 0.000 eV per formula unit
# **Space-group type**: P4/mmm, No. 123

***

| no. | calculated density (g/cm³) |
| --- | --- |
| 1 | 8.6 |
| 2 | 8.4 |


TaNbMo2W | GGA-PBE | optimized geometry

Cell: 4.3978 4.3978 10.0815 Å, 90.00 90.00 112.46°
Closest atoms and distances in Å follow each position.
Fractional positions:
Ta: 0.0450 0.9550 0.7500  2 Nb 2.54, 3 W 2.58-2.82, 2 Mo 2.82
Ta: 0.9550 0.0450 0.2500  2 Nb 2.54, 3 W 2.58-2.82, 2 Mo 2.82
Nb: 0.0000 0.0000 0.0000  2 Ta 2.54, 4 Mo 2.80
Nb: 0.0000 0.0000 0.5000  2 Ta 2.54, 4 Mo 2.80
Mo: 0.3665 0.6335 0.5958  1 W 2.65, 1 Mo 2.75, 3 Nb 2.80-2.85, 1 Ta 2.82
Mo: 0.3665 0.6335 0.9042  1 W 2.65, 1 Mo 2.75, 3 Nb 2.80-2.85, 1 Ta 2.82
Mo: 0.6335 0.3665 0.0958  1 W 2.65, 1 Mo 2.75, 3 Nb 2.80-2.85, 1 Ta 2.82
Mo: 0.6335 0.3665 0.4042  1 W 2.65, 1 Mo 2.75, 3 Nb 2.80-2.85, 1 Ta 2.82
W: 0.3408 0.6592 0.2500  3 Ta 2.58-2.82, 2 Mo 2.65
W: 0.6592 0.3408 0.7500  3 Ta 2.58-2.82, 2 Mo 2.65

Computed properties:
Space group: No. 63
Formation energy from the elements in eV/atom: 0.68
DFT total energy in eV/atom: -10.6302
'''

**Done**
2